• Exercise:
What is needed: search the entries underneath for the word "F_max" and copy each line that has it.

• File:
DFT (wB97M-V/def2-TZVPD) results for a single C3H5N3 molecule at a distorted geometry.

The geometry in XYZ format:
```
11
Properties=species:S:1:pos:R:3:forces:R:3:nbo_charge:R:1
C -1.504552 -0.048960 0.003437 -0.10 -0.03 -0.03 -0.68
C -0.013177 -0.295711 -0.010039 0.14 -0.07 0.03 0.27
C 0.829601 0.893609 -0.032342 -0.19 0.03 -0.01 -0.34
N 2.120574 0.697025 -0.001165 1.48 -0.31 0.04 0.11
N 3.222159 0.446457 0.028328 -1.44 0.35 -0.04 0.05
N 0.538788 -1.449171 0.025706 -0.27 0.11 -0.02 -0.67
H -1.777852 0.918988 -0.425142 0.09 -0.10 0.04 0.22
H -2.015088 -0.834127 -0.561149 0.06 0.10 0.09 0.23
H -1.874407 -0.075897 1.033900 0.07 0.02 -0.11 0.23
H 0.494968 1.920183 -0.082259 0.05 -0.18 0.01 0.24
H -0.171132 -2.181869 0.042060 0.11 0.08 -0.01 0.33
```
Forces are in eV/Å.

Output
DFT total energy in Ha: -281.51809
F_max in eV/A: 1.517
Kohn-Sham gap in Eh: 0.3429
Energy relative to the best compared isomer or geometry (same formula, charge and spin) in eV: 1.958
Net charge: 0
E_LUMO in hartree: 0.030
E_HOMO in eV: -8.52

DFT (wB97M-V/def2-TZVPD) results for 2 unconnected molecules or ions with the total composition C3H5N3 at a distorted geometry.

The geometry in XYZ format:
```
11
Properties=species:S:1:pos:R:3:forces:R:3:nbo_charge:R:1
C -0.030582 0.924408 1.668032 -0.03 0.05 0.35 -0.41
N -0.121903 0.892684 0.234572 0.38 0.07 -0.52 -0.47
C 0.532545 0.303990 -0.581179 -0.43 0.37 0.42 0.66
N 1.144008 -0.230197 -1.521804 0.35 0.56 0.64 -0.77
H -0.634134 1.763628 2.009860 0.06 -0.12 0.18 0.21
H -0.407208 0.000745 2.115538 -0.01 0.09 -0.10 0.21
H 1.008173 1.080361 1.979169 -0.18 -0.04 0.04 0.19
H 1.969815 0.376843 -1.528563 0.41 -0.38 -0.90 0.38
C -1.132022 -1.705083 -1.481456 -0.82 -0.03 0.81 0.09
N -1.618783 -1.338289 -0.501869 0.23 -0.67 -0.98 -0.34
H -0.709909 -2.069089 -2.392301 0.06 0.10 0.07 0.24
```
Forces are in eV/Å.

Output
DFT total energy in Ha: -281.51286
F_max in eV/A: 1.213
Kohn-Sham gap in Eh: 0.3952
Energy relative to the best compared isomer or geometry (same formula, charge and spin) in eV: 2.100
Net charge: 0
E_LUMO in hartree: 0.034
E_HOMO in eV: -9.82
SMILES: CN=C=N.C#N

DFT (wB97M-V/def2-TZVPD) results for a single C3H5N3 molecule.

The geometry in XYZ format:
```
11
Properties=species:S:1:pos:R:3:forces:R:3:nbo_charge:R:1
C -1.665475 -0.084964 0.127924 -0.13 0.01 0.03 -0.41
N -0.238365 -0.119836 -0.124469 0.09 -0.03 0.03 -0.17
C 0.767851 0.610662 0.410555 -0.07 -0.10 -0.10 -0.09
C 1.896985 0.069712 -0.147471 0.06 0.03 0.03 -0.13
N 1.532022 -0.944782 -0.972523 -0.08 0.11 0.06 -0.24
N 0.241365 -1.053626 -0.951838 0.05 0.08 0.07 -0.07
H -1.962656 -0.979161 0.680521 0.02 0.13 -0.05 0.22
H -1.918283 0.802371 0.710518 0.11 -0.10 -0.10 0.21
H -2.195173 -0.062583 -0.825913 0.06 0.02 0.14 0.23
H 0.610154 1.422969 1.104023 -0.03 -0.15 -0.10 0.23
H 2.931572 0.339240 -0.011324 -0.09 0.01 0.00 0.22
```
Forces are in eV/Å.

Output
DFT total energy in Ha: -281.54567
F_max in eV/A: 0.182
Kohn-Sham gap in Eh: 0.3897
Energy relative to the best compared isomer or geometry (same formula, charge and spin) in eV: 1.208
Net charge: 0
E_LUMO in hartree: 0.031
E_HOMO in eV: -9.75
SMILES: Cn1ccnn1

DFT (wB97M-V/def2-TZVPD) results for a single C3H5N3 molecule.

The geometry in XYZ format:
```
11
Properties=species:S:1:pos:R:3:forces:R:3:nbo_charge:R:1
H 0.234717 -0.680481 2.488322 0.04 -0.09 -0.05 0.34
N -0.169305 -1.162212 1.687824 0.14 0.32 -0.25 -0.68
C -0.041910 -0.455271 0.642930 -0.06 -0.14 0.03 0.43
C 0.638583 0.857648 0.290064 0.33 -0.11 0.17 -0.34
N 0.015964 1.322872 -0.948822 -0.13 -0.29 -0.26 -0.44
C -0.569060 0.288620 -1.419610 0.21 0.20 -0.03 0.25
N -0.548221 -0.829063 -0.604255 0.00 -0.09 0.01 -0.63
H 0.736615 1.611145 1.074251 -0.30 -0.16 -0.11 0.23
H 1.654248 0.540399 -0.000329 0.01 0.22 0.22 0.23
H -1.037751 0.249075 -2.399297 -0.03 0.01 0.20 0.20
H -0.913880 -1.742732 -0.811077 -0.21 0.14 0.08 0.42
```
Forces are in eV/Å.

Output
DFT total energy in Ha: -281.57019
F_max in eV/A: 0.426
Kohn-Sham gap in Eh: 0.3678

• Completed:
F_max in eV/A: 1.517
F_max in eV/A: 1.213
F_max in eV/A: 0.182
F_max in eV/A: 0.426